Search results

  1. mdog30001

    Dragon Face Pipefish

    I have seen people with these and i wanted to know peoples experience with them. Are they hard to keep? What kind of fish can you keep them with? Would one or two go in a 120 gallon? Thnx for any help
  2. mdog30001

    lets see some rock work

    im liking ur 30 gallon. Do u have any regular lights on it or just actinics?
  3. mdog30001

    fish load for a 38 gallon

    I would take one of the gobies off the list. You could do it with all 6 but it may be risky. I have a 33 gallon with a 5 gallon refuge and i have 4 fish and im at my limit.
  4. mdog30001

    30 Gallon lighting

    i have a 33 gallon and i had 96 watts on it. (pc 48 watt actinic and 48 watt white vho light) I kept a LTA in this lighting and also a brain coral. I have since switched to 250 watt mh. To answer your question you could low light corals and invertds like mushrooms, xenia, things like that. You...
  5. mdog30001

    I got a purdy new fishy!!

    Did u get the flameback from this site? Thats were i got mine.
  6. mdog30001

    uuugggghhh DeathCo!!!

    i just wanted to say that my lfs does quarantine fish for 1 week, not that it seems to help though. I dont buy fish from my lfs though anymore because i found buying fish from this site and other local fish keepers is cheaper and the fish are healthier.
  7. mdog30001

    Too many fanworms

    well u could sell them, i would buy some. :joy:
  8. mdog30001

    Fire fish gobies..single or pairs.

    I had some regular red firefish like Bret now has. I would say beware because they are well known jumpers, thats wat happened to mine. I started with 2, one jumped. Then i got another and it was eaten by a spiny lobster that i have since returned. The last one i had was also eaten. They all...
  9. mdog30001

    seahorse question

    here is a site dedicated just to seahorses, it may give u more results, not that you havent already had some good ones.
  10. mdog30001

    how old is your oldest fish? poll...

    that regal looks awsome. Hope it lives long.
  11. mdog30001

    Just made a new order

    I just ordered a flameback angel, a royal gramma, a fire shrimp, 10 snails, and a cleaner clam. (got the snails and clam so that i could order the rest). How long will it take to get shipped. I ordrederd it at 8:00 PM wednesday. Im gonna do a 10percent water change tonight and clean all the...
  12. mdog30001

    Sand sifting star dying?

    ya i had one for a month or so and it was fine, it also lost a leg tip. But then i found out that they eat alot of beneficial things in the sand, so i took him to the LFS and traded him for a big bottle of iodine supplement.
  13. mdog30001

[Materials data, kept here for reference]
The following is a PBE calculation of a relaxed La8Ho6Mg crystal, from the Alexandria database.

Size of the total moment = 0.00 μB per formula unit
Calculated formation energy = 0.129 eV/atom

a b c (Å): 6.6821 9.3679 9.3679
angles (deg): 120.00 90.00 90.00
Last column: nearest neighbours and their distance in Å.
Fractional coordinates of all 15 atoms:
La1 0.8291 0.0464 0.2842  3 La 3.24-3.37, 1 Mg 3.31, 2 Ho 3.37-3.48
La2 0.8291 0.7158 0.7623  3 La 3.24-3.37, 1 Mg 3.31, 2 Ho 3.37-3.48
La3 0.8291 0.2377 0.9536  3 La 3.24-3.37, 1 Mg 3.31, 2 Ho 3.37-3.48
La4 0.1709 0.9536 0.7158  3 La 3.24-3.37, 1 Mg 3.31, 2 Ho 3.37-3.48
La5 0.1709 0.2842 0.2377  3 La 3.24-3.37, 1 Mg 3.31, 2 Ho 3.37-3.48
La6 0.1709 0.7623 0.0464  3 La 3.24-3.37, 1 Mg 3.31, 2 Ho 3.37-3.48
La7 0.8720 0.3333 0.6667  3 La 3.24
La8 0.1280 0.6667 0.3333  3 La 3.24
Ho1 0.6534 0.6576 0.1006  1 Ho 3.30, 5 La 3.37-3.70
Ho2 0.6534 0.8994 0.5570  1 Ho 3.30, 5 La 3.37-3.70
Ho3 0.6534 0.4430 0.3424  1 Ho 3.30, 5 La 3.37-3.70
Ho4 0.3466 0.3424 0.8994  1 Ho 3.30, 5 La 3.37-3.70
Ho5 0.3466 0.1006 0.4430  1 Ho 3.30, 5 La 3.37-3.70
Ho6 0.3466 0.5570 0.6576  1 Ho 3.30, 5 La 3.37-3.70
Mg1 0.5000 0.0000 0.0000  6 La 3.31

***

The following is a PBE calculation of a relaxed Rb2ScMnAg crystal, from the Alexandria database.

Size of the total moment = 5.07 μB per formula unit

    Seahorse and current?

    no u cant put them in a reef because they cant compete for food against other fish. Its good to set up a tank for just seahorses if u really want them. heres a good site for seahorses
  14. mdog30001

    Cyanide evidence

    A few weeks back i bought an African Flameback Angle. My lfs specifacly said that it had not been cyanided. He has always been a really active social fish. The last few days though he started to hide a bunch and wouldnt come out of his little crevice area, not even to eat. Now he is DEAD. is...
  15. mdog30001

    First Pics of my Reef

    the tank looks great for just startin out. It will look sweet once you get some more corals. Im loving those little red things u got.
  16. mdog30001

    My CBS caught and killed a fish?!?!?!

    Ill never get a CBA. ive heard so many stories like this that i stopped counting. I dont care it 9 out of 10 people have had a good experience with them, i would never take the risk.
  17. mdog30001

    Got These today

    lucky. zoo's like that at my lfs would be $50 or more.
  18. mdog30001

    anyone have an elegance coral??

    Srry to hear about the tragedy. i just switched to mh's to and my brain coral started to stress out really bad, he even looked like he was starting to bleach. I noticed it right away and left the lights off for a day, and now have them on for 6 hours aday. He's a lot better now. Hopefully i can...
  19. mdog30001

    Cotton on LR?

    hey i get Coral Magazine to. I havent read it yet but i saw that it had an article on peanut worms in it. My favorite part of the magazine is when they put pictures of a persons tank, then describe it, and list what they have in it. This helps me a lot with my tank. Srry this is kinda off topic...
  20. mdog30001

    helping a friend set up a sea horse tank...questions

    here is a link for a great seahorse forum if you already havent found it.